
Draw Together: Louise Bourgeois Heart Spirals

                                                                                                                                                                                         Heart Spiral Drawing Video We are a DrawTogether Classroom! Our first Draw Together Activity is about art and relaxation...  The Heart Spiral was inspired by cartoonist, writer and educator  Lynda Barry . Lynda believes drawing spirals helps people get out of their head and into their bodies. (We strongly agree!)  In this episode...

Leaf Mandala Drawing

  LEAF MANDALA DRAWING This leaf mandala drawing is not only a beautiful fall art project but also explores art concepts like balance and pattern. Let’s make something! MATERIALS FOR A LEAF MANDALA…. The only real required materials for this fall art project are pencil, a black marker, and a compass. White paper either 8.5 x 11 or 12x 18 will be great- depending on how much drawing your students would like to do. At the end of this project I’ll show you a fun way to add a splash of color using washable markers. But if you prefer you could easily sub in watercolors or even crayon for this step! Use what you have! DRAW A LEAF… Step number one is to draw the outline of a leaf-BIG! If you have time step outside and gather a few real leaves to use as reference. If not a quick search on the internet will give you some nice leaf shapes to refer to. The shape of the leaf can be as simple or as complex as your student chooses but it must be big so there is plenty of room to draw on the insi...

Thanksgiving Turkey Drawing for Young Children

  Follow along with this step by step directed drawing lesson to make your own easy turkey drawing. MATERIALS FOR A TURKEY DRAWING… This is easy, so easy. You and your children will need pencil, paper, and crayons. That’s it! STEP ONE OF YOUR EASY TURKEY DRAWING… This turkey drawing starts out with a simple hand tracing- just like an old fashioned hand turkey! Trace your child’s hand or ask them to trace their own hand.  Then reposition your hand about forty five degrees and trace only your last two fingers.  This step is totally optional but creates a couple of extra “feathers” so you’re turkey is nice and full! GRAB A CRAYON… Grab a crayon now, any color that you want to use as an outline.  I chose black but your outline could be any dark-ish color. Outline the traced hand, connecting the additional fingers to the bulk of the body. Erase any interior pencil lines. DRAWING A FEW DETAILS ON YOUR HAND TURKEY…. We’re going to add a few additional lines with this same d...

Spook-tacular Halloween Art Projects to do at Home!

If there’s one thing we all need right now, it’s a little bit of fun! Take some time this month to create some painted paper masterpieces and to get excited for Halloween! Watch the video for ideas: Timestamps: Funny Face Pumpkin – 1:12 Monsters – 15:24 Asymmetrical Monster – 32:17 This Halloween Spook-tacular art is all about creating special memories with an easy walk-through tutorial. These fun projects (perfect for ages 5-12) will help inspire children's imaginations and will help them learn new artistic techniques along the way! Each project will cover elements of art, like SHAPE, LINE, PATTERN, & SYMMETRY, all while keeping your children engaged in creative activities. There are opportunities for children to create their own unique monsters, either by changing their color and shapes, or deciding what kind of features they’d like to have for the face and body. Grab your Monster inspiration handout below and let’s get started! Halloween Monster Guide The inspiration guide h...

Activity 20: Mystery Word Painting

Here's a fun little project that you can do with your friends and family...a Mystery Word Painting! Grab a white crayon, paper, watercolor paint, and a plastic card or strong piece of cardboard, and let's create! Aquí hay un pequeño proyecto divertido que puedes hacer con tus amigos y familias ... ¡una pintura misteriosa de palabras! Tome un crayón blanco, papel, pintura de acuarela y una tarjeta de plástico o un pedazo de cartón fuerte, ¡y creemos! Watch the video below to see the process. Mire el video a continuación para ver el proceso. You can also hide figures or animals in your mystery paintings! ¡También puedes esconder figuras o animales en tus misteriosas pinturas! If you don't have paint, dip markers into water to create your own watercolors! ¡Si no tiene pintura, ¡sumerja los marcadores en agua para crear tus propias acuarelas! Resources: Cassie Stephens Chalk Academy New Brunswick Public Library Si...

Activity 19: The Midnight Ride of Paul Revere (5th Grade)

Someone pasted materials data at this point
<<<
1.
# ZnSiPbO4 | OQMD | PBE | optimized geometry
# VASP energy	-44.0	eV/f.u.
data_ZnSiPbO4
_cell_length_a 8.1538
_cell_length_b 18.9141
_cell_length_c 5.0469
_cell_angle_alpha 90.00
_cell_angle_beta 90.00
_cell_angle_gamma 90.00
_symmetry_space_group_name_H-M 'P n a 21'
_symmetry_Int_Tables_number 33
loop_
_symmetry_equiv_pos_as_xyz
'x,y,z'
'-x,-y,z+1/2'
'-x+1/2,y+1/2,z+1/2'
'x+1/2,-y+1/2,z'
loop_
_atom_site_label
_atom_site_fract_x
_atom_site_fract_y
_atom_site_fract_z
_atom_site_occupancy
Zn1 0.0006 0.0580 0.0000 1
Zn2 0.1770 0.3453 0.0029 1
Si1 0.2034 0.6788 0.4922 1
Si2 0.2329 0.9273 0.9922 1
Pb1 0.0226 0.7671 0.0240 1
Pb2 0.1558 0.5576 0.0366 1
O1 0.0388 0.6457 0.3408 1
O2 0.0632 0.9626 0.8692 1
O3 0.1099 0.4762 0.4129 1
O4 0.1381 0.1336 0.8928 1
O5 0.1787 0.6795 0.8119 1
O6 0.2115 0.9250 0.3169 1
O7 0.2172 0.7594 0.3692 1
O8 0.2487 0.3467 0.3729 1



2.
# SmPbO3 | OQMD | PBE | optimized geometry
# spin magnetization	0.0	μB/f.u.
# VASP energy	-31.9	eV/f.u.
data_SmPbO3
_cell_length_a 6.0417
_cell_length_b 6.0417
_cell_length_c 4.2496
_cell_angle_alpha 90.00
_cell_angle_beta 90.00
_cell_angle_gamma 90.00
_symmetry_space_group_name_H-M 'P 4/m b m'
_symmetry_Int_Tables_number 127
_symmetry_space_group_name_Hall '-P 4 2ab'
loop_
_atom_site_label
_atom_site_fract_x
_atom_site_fract_y
_atom_site_fract_z
_atom_site_occupancy
Sm1 0.0000 0.5000 0.0000 1
Pb1 0.0000 0.0000 0.5000 1
O1 0.0000 0.0000 0.0000 1
O2 0.1497 0.3503 0.5000 1



3.
# SmPbO3 | OQMD | PBE | optimized geometry
# spin magnetization	0.0	μB/f.u.
# VASP energy	-32.1	eV/f.u.
data_SmPbO3
_cell_length_a 6.0848
_cell_length_b 6.0848
_cell_length_c 8.4181
_cell_angle_alpha 90.00
_cell_angle_beta 90.00
_cell_angle_gamma 90.00
_symmetry_space_group_name_H-M 'I 4/m c m'
_symmetry_Int_Tables_number 140
_symmetry_space_group_name_Hall '-I 4 2c'
loop_
_atom_site_label
_atom_site_fract_x
_atom_site_fract_y
_atom_site_fract_z
_atom_site_occupancy
Sm1 0.0000 0.5000 0.2500 1
Pb1 0.0000 0.0000 0.0000 1
O1 0.0000 0.0000 0.2500 1
O2 0.1488 0.3512 0.0000 1



4.
# SmPbO3 | OQMD | PBE | optimized geometry
# spin magnetization	0.0	μB/f.u.
# VASP energy	-32.1	eV/f.u.
data_SmPbO3
_cell_length_a 8.4617
_cell_length_b 8.6096
_cell_length_c 6.0347
_cell_angle_alpha 90.00
_cell_angle_beta 134.48
_cell_angle_gamma 90.00
_symmetry_space_group_name_H-M 'C 1 2/m 1'
_symmetry_Int_Tables_number 12
loop_
_symmetry_equiv_pos_as_xyz
'x,y,z'
'-x,-y,-z'
'-x,y,-z'
'x,-y,z'
'x+1/2,y+1/2,z'
'-x+1/2,-y+1/2,-z'
'-x+1/2,y+1/2,-z'
'x+1/2,-y+1/2,z'
loop_
_atom_site_label
_atom_site_fract_x
_atom_site_fract_y
_atom_site_fract_z
_atom_site_occupancy
Sm1 0.2484 0.0000 0.4971 1
Pb1 0.2500 0.2500 0.0000 1
O1 0.0000 0.2485 0.0000 1
O2 0.0000 0.3510 0.5000 1
O3 0.1481 0.0000 0.7976 1



- What is the formula in the first record?
  ZnSiPbO4



What did the fourth record say?
# SmPbO3 | OQMD | PBE | optimized geometry
# spin magnetization	0.0	μB/f.u.
# VASP energy	-32.1	eV/f.u.
data_SmPbO3
_cell_length_a 8.4617
_cell_length_b 8.6096
>>>

The Midnight Ride of Paul Revere , Grant Wood, 1931,  Oil on Masonite Here, Grant Wood depicts the legendary story of the American patriot Paul Revere, as learned from an 1863 poem by Henry Wadsworth Longfellow. From a bird’s-eye view, the painting shows Revere on horseback racing through a colonial town square in Massachusetts. Despite the work’s historical subject matter, Wood did not attempt to depict the scene with factual accuracy. The houses are overly bright, as if lit by electric light, and the dramatic moonlight casts unrealistic shadows. The stylized houses, geometric greenery, and high perspective give the painting an otherworldly or dreamlike dimension. Socratic Seminar : Opening (Identify the Main Ideas from the Text) : What is the most interesting detail in this painting? (round-robin response) What is so interesting about that detail? (spontaneous discussion) Core (Analyze Textual Details) : Why do you think the foreground of this painting is l...

Activity 18: Choice-Based Art Activities to do at Home

# The page is interrupted by data records
<<<
Sm8Ho3Tm: relaxed, GGA-PBE.

Summary:
The value obtained for the calculated volume is 32.9 A^3/atom. For the energy, the calculation gives -54.5 eV/f.u.

a = 6.9873 Å, b = 11.9192 Å, c = 9.7684 Å
α = 90.00°, β = 104.21°, γ = 90.00°
Space group C2/m (No. 12)
Unique sites:
Sm1 0.0713 0.2472 0.3338
Sm2 0.1800 0.5000 0.1696
Sm3 0.1806 0.0000 0.1637
Ho1 0.0000 0.5000 0.5000
Ho2 0.2500 0.2500 0.0000
Tm1 0.0000 0.0000 0.5000

----------

DFT (PBE) results for a geometry-optimized KMg2Sc structure.

The structure in POSCAR format:
```
KMg2Sc
1.0
3.6989 0.0000 0.0000
0.0000 3.7692 0.0000
-0.0391 0.0000 8.8715
K Mg Sc
1 2 1
direct
0.0000 0.0000 0.0000
0.4975 0.5000 0.3131
0.5025 0.5000 0.6869
0.0000 0.0000 0.5000
```

The total magnetization comes out at 0.57 μB/f.u. The energy of formation from the pure elements is 0.1638 eV per atom. The value obtained for the offset from the most stable computed form is 0.0 meV/atom.
>>>

1. Draw Shadows/Dibujar sombras: Lleve juguetes o una taza de café afuera cuando esté soleado. Póngalos en el suelo y vea dónde la sombra es. Pon tu papel bajo de la sombra y dibuja con una línea para encontrar la forma del sombra. Puedes completar el dibujo con color y detalles. 2. Draw Outdoors/Dibujar fuera: Crea dibujos de tiza sobre cemento. Encuentra un lugar seguro dibujar. Estos dibujos son ideas que son dibujado grande para que haya espacio para estar el dibujo. ¿Quieres ser un superhéroe o mariposa? ¿Cuales son tus ideas Si no lo hace tenga tiza en la acera, dibuje en papel su idea. 3. Draw a New Mouth for Your Pet/Dibuja una nueva boca para tu mascota: ¿Tienes una mascota gato o perro? Si lo haces, tu puede dibujar una nueva sonrisa o una boca tonta para tu mascota. Use un trozo pequeño de papel y lápiz. Adiviértete con tu dibujo, sostenlo delante dela boca de la mascota y toma una foto. Sé gentil. 4. How are You Feeling?/¿Como te sientes? Mira el medidor de ...